## Assignment
Print the whole of the block below word for word, please.

## File
........
The following is a calculated X-ray powder pattern of HfMn2. It was derived from DFT lattice parameters and positions (GGA-PBE), using Cu Kα (λ = 1.5418 Å).
No peak broadening, texture or thermal motion is included.

Most intense lines, 10 to 90 degrees two-theta, in order of rising 2θ:
two_theta  I/Imax  hkl
21.5  21  0 2 1
34.8  26  1 1 5
36.3  76  2 0 0
39.6  80  1 1 6
42.6  21  2 2 1
42.9  100  2 0 4
43.7  37  2 2 2
67.5  37  3 1 6
69.9  23  3 3 4
73.5  20  2 2 10

Cell: 4.9506 8.5598 16.1388 Å, 90.00 90.00 90.00°
Space group Cmcm (No. 63)
Unique sites:
Hf 0.0000 0.9999 0.0936 (multiplicity 8)
Hf 0.0000 0.3334 0.1558 (multiplicity 8)
Mn 0.0000 0.1636 0.7500 (multiplicity 4)
Mn 0.0000 0.3333 0.6246 (multiplicity 8)
Mn 0.0000 0.5000 0.0000 (multiplicity 4)
Mn 0.2451 0.0816 0.2500 (multiplicity 8)
Mn 0.2500 0.2500 0.0000 (multiplicity 8)

~~~~~

Diffraction record for YGaN2. The powder X-ray diffraction pattern is theoretical, not measured: it uses a crystal structure in the Materials Project, relaxed with GGA-PBE and λ = 1.5418 Å (Cu Kα).

Largest 10 diffraction maxima, sorted by position, 10° ≤ 2θ ≤ 90°:
- 29.33°, intensity 25
- 30.29°, intensity 100
- 31.11°, intensity 50
- 33.61°, intensity 38
- 34.88°, intensity 45
- 43.21°, intensity 49
- 52.37°, intensity 13
- 53.93°, intensity 31
- 59.57°, intensity 22
- 64.09°, intensity 13

Cell and atoms:
```
16
Lattice="5.8637 0.0000 0.0000 0.0000 6.9880 0.0000 -1.9342 0.0000 5.5083" Properties=species:S:1:pos:R:3 pbc="T T T"
Y 0.1216 0.7356 1.6051
Y -0.8455 2.7584 4.3593
Y 4.7750 4.2296 1.1490
Y 3.8079 6.2524 3.9032
Ga 1.5503 4.5760 2.1153
Ga 0.5832 5.9060 4.8694
Ga 3.3464 1.0820 0.6389
Ga 2.3792 2.4120 3.3931
N 1.2687 4.6297 0.1745
N 0.3015 5.8522 2.9287
N -0.3278 0.7313 5.3345
N 0.6393 2.7627 2.5803
N 3.2902 4.2253 2.9280
N 4.2573 6.2567 0.1738
N 3.6280 1.1357 2.5796
N 2.6609 2.3582 5.3338
```

=====

Diffraction record for Y2GaN3. The powder X-ray diffraction pattern is theoretical, not measured: it uses a crystal structure in the Materials Project, relaxed with GGA-PBE and λ = 1.5418 Å (Cu Kα).

Largest 10 diffraction maxima, sorted by position, 10° ≤ 2θ ≤ 90°:
- 28.80°, intensity 42
- 30.94°, intensity 35
- 31.38°, intensity 30
- 31.50°, intensity 33
- 32.09°, intensity 100
- 33.61°, intensity 53
- 34.65°, intensity 62
- 37.39°, intensity 29
- 37.81°, intensity 26
- 43.27°, intensity 27

Cell and atoms:
```
24
Lattice="2.7961 -5.2374 0.0000 2.7961 5.2374 0.0000 -0.7793 0.0000 11.4014" Properties=species:S:1:pos:R:3 pbc="T T T"
Y 0.6678 2.1974 9.7096
Y 0.9014 1.1316 4.8719
Y 0.5117 -1.1316 10.5726
Y 1.0575 -2.1974 4.0089
Y 3.7555 2.1974 7.3925
Y 4.3012 1.1316 0.8288
Y 3.9116 -1.1316 6.5295
Y 4.1451 -2.1974 1.6918
Ga 1.0268 0.0304 7.5469
Ga 1.4164 -0.0304 1.8462
Ga 3.3965 0.0304 9.5552
Ga 3.7862 -0.0304 3.8545
N 2.6013 4.9623 2.8504
N 1.1034 1.0747 0.2732
N 1.4328 1.9090 7.1248
N 0.7137 -1.0747 5.9739
N 2.6013 1.1717 2.8504
N 2.9905 1.9090 9.9774
N 1.8224 -1.9090 1.4241
N 2.2116 -1.1717 8.5511
N 4.0992 1.0747 5.4275
N 3.3802 -1.9090 4.2766
N 3.7096 -1.0747 11.1282
N 2.2116 -4.9623 8.5511
```

~~~~~

Simulated X-ray powder pattern of Ho3Ga2Co2 for λ = 1.5418 Å (Cu Kα), from a GGA-PBE-relaxed structure.
Peak positions follow from Bragg's law for the DFT cell and can differ from measured ones.

Most intense lines, 5 to 70 degrees two-theta, low angle first:
Position (°2θ)  intensity  index
28.73  44  1 1 3
31.07  55  0 2 3
34.13  72  1 1 4
34.87  84  2 1 0
35.25  60  1 2 3
36.15  56  0 2 4
38.80  100  1 3 0
40.77  97  2 1 3
41.63  45  0 0 6
58.21  33  1 3 6

Structure:
abc: 5.4598 7.6935 13.0168
angles: 90.00 90.00 90.00
Positions (direct):
1 Ho 0.1330 0.2403 0.2500
2 Ho 0.1330 0.2597 0.7500
3 Ho 0.3454 0.5992 0.0966
4 Ho 0.3454 0.5992 0.4034
5 Ho 0.3454 0.9008 0.5966
6 Ho 0.3454 0.9008 0.9034
7 Ho 0.6546 0.0992 0.0966
8 Ho 0.6546 0.0992 0.4034
9 Ho 0.6546 0.4008 0.5966
10 Ho 0.6546 0.4008 0.9034
11 Ho 0.8670 0.7403 0.2500
12 Ho 0.8670 0.7597 0.7500
13 Ga 0.1370 0.2500 0.0000
........

## Outcome
The following is a calculated X-ray powder pattern of HfMn2. It was derived from DFT lattice parameters and positions (GGA-PBE), using Cu Kα (λ = 1.5418 Å).
No peak broadening, texture or thermal motion is included.

Most intense lines, 10 to 90 degrees two-theta, in order of rising 2θ:
two_theta  I/Imax  hkl
21.5  21  0 2 1
34.8  26  1 1 5
36.3  76  2 0 0
39.6  80  1 1 6
42.6  21  2 2 1
42.9  100  2 0 4
43.7  37  2 2 2
67.5  37  3 1 6
69.9  23  3 3 4
73.5  20  2 2 10

Cell: 4.9506 8.5598 16.1388 Å, 90.00 90.00 90.00°
Space group Cmcm (No. 63)
Unique sites:
Hf 0.0000 0.9999 0.0936 (multiplicity 8)
Hf 0.0000 0.3334 0.1558 (multiplicity 8)
Mn 0.0000 0.1636 0.7500 (multiplicity 4)
Mn 0.0000 0.3333 0.6246 (multiplicity 8)
Mn 0.0000 0.5000 0.0000 (multiplicity 4)
Mn 0.2451 0.0816 0.2500 (multiplicity 8)
Mn 0.2500 0.2500 0.0000 (multiplicity 8)

~~~~~

Diffraction record for YGaN2. The powder X-ray diffraction pattern is theoretical, not measured: it uses a crystal structure in the Materials Project, relaxed with GGA-PBE and λ = 1.5418 Å (Cu Kα).

Largest 10 diffraction maxima, sorted by position, 10° ≤ 2θ ≤ 90°:
- 29.33°, intensity 25
- 30.29°, intensity 100
- 31.11°, intensity 50
- 33.61°, intensity 38
- 34.88°, intensity 45
- 43.21°, intensity 49
- 52.37°, intensity 13
- 53.93°, intensity 31
- 59.57°, intensity 22
- 64.09°, intensity 13

Cell and atoms:
```
16
Lattice="5.8637 0.0000 0.0000 0.0000 6.9880 0.0000 -1.9342 0.0000 5.5083" Properties=species:S:1:pos:R:3 pbc="T T T"
Y 0.1216 0.7356 1.6051
Y -0.8455 2.7584 4.3593
Y 4.7750 4.2296 1.1490
Y 3.8079 6.2524 3.9032
Ga 1.5503 4.5760 2.1153
Ga 0.5832 5.9060 4.8694
Ga 3.3464 1.0820 0.6389
Ga 2.3792 2.4120 3.3931
N 1.2687 4.6297 0.1745
N 0.3015 5.8522 2.9287
N -0.3278 0.7313 5.3345
N 0.6393 2.7627 2.5803
N 3.2902 4.2253 2.9280
N 4.2573 6.2567 0.1738
N 3.6280 1.1357 2.5796
N 2.6609 2.3582 5.3338
```

=====

Diffraction record for Y2GaN3. The powder X-ray diffraction pattern is theoretical, not measured: it uses a crystal structure in the Materials Project, relaxed with GGA-PBE and λ = 1.5418 Å (Cu Kα).

Largest 10 diffraction maxima, sorted by position, 10° ≤ 2θ ≤ 90°:
- 28.80°, intensity 42
- 30.94°, intensity 35
- 31.38°, intensity 30
- 31.50°, intensity 33
- 32.09°, intensity 100
- 33.61°, intensity 53
- 34.65°, intensity 62
- 37.39°, intensity 29
- 37.81°, intensity 26
- 43.27°, intensity 27

Cell and atoms:
```
24
Lattice="2.7961 -5.2374 0.0000 2.7961 5.2374 0.0000 -0.7793 0.0000 11.4014" Properties=species:S:1:pos:R:3 pbc="T T T"
Y 0.6678 2.1974 9.7096
Y 0.9014 1.1316 4.8719
Y 0.5117 -1.1316 10.5726
Y 1.0575 -2.1974 4.0089
Y 3.7555 2.1974 7.3925
Y 4.3012 1.1316 0.8288
Y 3.9116 -1.1316 6.5295
Y 4.1451 -2.1974 1.6918
Ga 1.0268 0.0304 7.5469
Ga 1.4164 -0.0304 1.8462
Ga 3.3965 0.0304 9.5552
Ga 3.7862 -0.0304 3.8545
N 2.6013 4.9623 2.8504
N 1.1034 1.0747 0.2732
N 1.4328 1.9090 7.1248
N 0.7137 -1.0747 5.9739
N 2.6013 1.1717 2.8504
N 2.9905 1.9090 9.9774
N 1.8224 -1.9090 1.4241
N 2.2116 -1.1717 8.5511
N 4.0992 1.0747 5.4275
N 3.3802 -1.9090 4.2766
N 3.7096 -1.0747 11.1282
N 2.2116 -4.9623 8.5511
```

~~~~~

Simulated X-ray powder pattern of Ho3Ga2Co2 for λ = 1.5418 Å (Cu Kα), from a GGA-PBE-relaxed structure.
Peak positions follow from Bragg's law for the DFT cell and can differ from measured ones.

Most intense lines, 5 to 70 degrees two-theta, low angle first:
Position (°2θ)  intensity  index
28.73  44  1 1 3
31.07  55  0 2 3
34.13  72  1 1 4
34.87  84  2 1 0
35.25  60  1 2 3
36.15  56  0 2 4
38.80  100  1 3 0
40.77  97  2 1 3
41.63  45  0 0 6
58.21  33  1 3 6

Structure:
abc: 5.4598 7.6935 13.0168
angles: 90.00 90.00 90.00
Positions (direct):
1 Ho 0.1330 0.2403 0.2500
2 Ho 0.1330 0.2597 0.7500
3 Ho 0.3454 0.5992 0.0966
4 Ho 0.3454 0.5992 0.4034
5 Ho 0.3454 0.9008 0.5966
6 Ho 0.3454 0.9008 0.9034
7 Ho 0.6546 0.0992 0.0966
8 Ho 0.6546 0.0992 0.4034
9 Ho 0.6546 0.4008 0.5966
10 Ho 0.6546 0.4008 0.9034
11 Ho 0.8670 0.7403 0.2500
12 Ho 0.8670 0.7597 0.7500
13 Ga 0.1370 0.2500 0.0000